(Given)
-- begin --
This record from the OMol25 dataset describes a cluster of 2 separate species, C35H46ClF13N3O4S in total. The level of theory is ωB97M-V/def2-TZVPD.

Output
Total charge: +1
Multiplicity: 1
Frontier orbital gap: 8.41 eV
Electronic energy: -108376.10169 eV
HOMO energy: -11.463 eV
E_LUMO: -3.050 eV

XYZ file:
```
103
C35H46ClF13N3O4S | the OMol25 dataset | ωB97M-V/def2-TZVPD
C 6.767 2.127 -0.242
O 5.492 2.036 0.406
C 4.580 1.227 -0.350
C 3.378 0.766 0.569
C 2.076 1.654 0.241
C 1.438 1.047 -1.039
N 0.223 1.643 -1.667
C -0.430 0.581 -2.515
C 0.464 -0.147 -3.584
C 0.158 -1.711 -3.476
C 0.832 -2.389 -2.229
C 0.368 -3.923 -2.232
S 0.239 -4.388 -0.449
O -0.013 -5.804 -0.262
O 1.428 -3.986 0.298
Cl -1.367 -3.392 0.452
C -1.724 1.074 -3.274
N -2.694 1.452 -2.228
C -3.966 1.748 -2.863
C -4.418 3.114 -3.167
C -5.752 3.258 -3.772
C -6.481 2.035 -4.056
N -6.075 0.759 -3.826
C -4.863 0.661 -3.231
C -2.105 2.646 -1.597
C -0.766 2.354 -0.759
C -0.297 3.856 -0.448
C -1.045 4.517 0.761
C -0.453 5.991 0.957
C -1.135 6.728 2.147
F -0.509 7.965 2.253
F -2.493 6.890 1.915
C -0.971 6.006 3.548
F 0.111 5.173 3.613
F -0.782 6.930 4.543
F -2.137 5.351 3.843
C -1.181 1.527 0.525
C -2.683 1.413 0.878
C -3.505 2.371 1.594
C -4.922 2.108 1.879
C -5.568 0.874 1.474
C -4.753 -0.119 0.784
C -3.364 0.161 0.489
H 6.903 3.097 -0.796
H 6.969 1.307 -0.977
H 7.553 2.068 0.554
H 4.232 1.790 -1.268
H 5.121 0.298 -0.698
H 3.633 0.973 1.635
H 3.116 -0.301 0.356
H 1.469 1.637 1.173
H 2.499 2.672 0.003
H 1.244 -0.046 -0.852
H 2.263 1.058 -1.807
H 0.531 2.376 -2.330
H -0.800 -0.200 -1.791
H 0.078 0.130 -4.608
H 1.553 0.083 -3.603
H 0.562 -2.159 -4.426
H -0.951 -1.870 -3.436
H 0.326 -1.951 -1.319
H 1.940 -2.291 -2.181
H -0.685 -3.913 -2.612
H 1.056 -4.589 -2.800
H -1.524 1.867 -4.047
H -2.107 0.168 -3.822
H -3.813 4.022 -2.964
H -6.128 4.285 -3.985
H -7.494 2.158 -4.517
H -4.495 -0.377 -3.017
H -1.743 3.296 -2.463
H -2.822 3.287 -1.035
H -0.504 4.524 -1.335
H 0.799 3.949 -0.258
H -2.128 4.652 0.486
H -0.910 4.006 1.742
H -0.514 6.543 -0.011
H 0.621 5.827 1.262
H -0.653 1.934 1.434
H -0.790 0.470 0.433
H -3.063 3.319 1.959
H -5.484 2.904 2.427
H -6.648 0.737 1.707
H -5.227 -1.084 0.496
H -2.801 -0.643 -0.051
C 3.182 -5.661 3.210
C 4.488 -6.342 2.759
C 4.349 -7.442 1.706
F 3.588 -8.469 2.126
F 5.570 -7.960 1.415
F 5.147 -6.794 3.850
F 5.277 -5.362 2.224
O 2.582 -6.134 4.416
C 1.760 -7.262 4.339
C 2.340 -8.464 5.091
F 3.569 -8.789 4.645
F 1.554 -9.553 4.914
F 1.481 -7.536 3.051
F 0.587 -6.913 4.912
H 3.449 -4.627 3.440
H 2.456 -5.584 2.398
H 3.925 -7.045 0.779
H 2.410 -8.255 6.161
```
-- stop --

(Work order)
Say how many lines of the contents further up hold the word "in", as a bare number.

(Here it is)
1